​​By far the best for us is what
is time tested as Natural. Essential Oils Always!
Ready to start using essential oils? Read this first!
Essential oils have completely changed my life – and trust me, I was a skeptic when I was first introduced to them.
I mean, seriously, how could sniffing a scent or rubbing an oil on my skin help to improve my health or wellbeing?
Before I explain why essential oils are so great, you might be wondering what they actually are!
What are essential oils?
Essential oils are the oil of the plant from which they were extracted.
They’re basically concentrated herbs! They contain all the goodness that protects and maintains the plant, and we can use them to help support our own bodies’ health and wellness.
There are many different kinds of oils out there, and they all have different properties and uses. From well-known plants like Bergamot and Eucalyptus to unusual and exotic ones like Petitgrain and Spikenard, there’s an unfathomably huge range to choose from – and they each provide all sorts of different therapeutic benefits and uses.
How can essential oils help promote the health and wellbeing of you and your family?
There is ample research to support the therapeutic benefits of essential oils, but you’re probably more interested to know how essential oils have helped my loved ones and me…
When life gets busy or demanding, it tends to wear me out! Lavender and Stress Away are my go-to oils for this: they relax me, calm me down, and takes the edge off my worries. I diffuse them, put them in the bath bombs, made with epsom salt or even put a few drops on my pillow before bed.
Peppermint gets used during work too: I put it in the diffuser in my office where I work, and it helps me focus so much better and enjoy what I’m working on. It also soothes tired feet adding a deop or two into your common hand lotion or soaking your feet with Organiks Salts and warm water.
I use Rosemary drops to help support my immune system. I can’t remember the last time I felt under the weather! I also use it in my home made cleaners. SO why wouldnt I want to lie in a warm bath of it? I live for it.
After a workout, I rub peppermint mixed with coconut oil to soothe my sore muscles…and it has an immediate cooling feeling that easing tension!
Eucalyptus aids in cold seasons to clear the sinuses.
Lemon & Lemon Peel, Citrus for my joints and inflammation.
These are just a few examples, but essential oils have also replaced many everyday products that I used to spend a fortune on.
I now clean my home with oil-infused natural cleaners rather than toxic chemicals from the supermarket. We bathe in them daily even...
I cleanse my face with oil-infused natural products too. And everyone in the family benefits from using calming essential oils and dried herbs in the beds & in the diffuser's through out the rooms before bedtime!
No Need to go to War Over Oils:
There are many essential oils companies to choose from, and a rare few with a long history of more than two decades. You may even be a part of an essential oils company and so married to your oils that you won’t be dragged away without kicking and screaming.
Others have more of an open mind on using multiple companies. Now that I am learning more and more about the benefits of essential oils in my daily life routine, I have been building the arsenal for my BathOrganiks family.
There is nothing wrong with using multiple companies to build your collection
I care about the quality of the oil more than anything else.
I want the company to prove to me that their oils are as pure as they claim. When I can see for myself the top five constituents and the tests performed on each batch, I can be certain of my decision.
If a new company has pioneered brand new technology in the essential oils world, and claims the purity far surpasses any other oil on the market, I’m interested.
The Buzz

• Unrelated to this piece: crystal structures:
=====
! Ba2La2MgTi3O12 (PBE-GGA, relaxed); values from VASP
! size of the total moment = 0.00 μB per formula unit
! total DFT energy (no corrections) = -8.07 eV per atom
&SYSTEM
  ibrav = 0, nat = 60, ntyp = 5
/
ATOMIC_SPECIES
Ba 137.33 Ba.upf
La 138.91 La.upf
Mg 24.30 Mg.upf
Ti 47.87 Ti.upf
O 16.00 O.upf
ATOMIC_POSITIONS angstrom
Ba 5.6713 0.0199 10.2920
Ba 2.8353 4.9392 17.2967
Ba 2.8364 1.6534 7.9725
Ba 2.8431 1.6623 14.9637
Ba 5.6634 3.2968 12.6251
Ba 5.6702 3.3057 19.6163
La 0.0539 0.0493 24.1697
La 2.8348 1.6856 21.9129
La 2.8252 1.6381 1.1353
La 5.6814 3.3210 26.4534
La 5.6718 3.2735 5.6758
La 8.4527 4.9098 3.4190
Mg 0.0000 0.0000 0.0000
Mg 2.8468 1.6512 4.5142
Mg 5.6597 3.3079 23.0745
Ti 0.0123 0.0230 13.7944
Ti 2.8780 4.9421 20.8643
Ti 2.8264 1.6585 18.4889
Ti 2.8320 1.6623 11.4526
Ti 2.8644 1.6791 25.3283
Ti 5.6422 3.2800 2.2604
Ti 5.6746 3.2968 16.1362
Ti 5.6802 3.3006 9.0998
Ti 5.6285 0.0170 6.7245
O 1.4325 2.4665 10.2923
O 1.7078 2.6932 3.1131
O 1.1178 0.9961 5.5006
O 1.4090 0.8974 19.5913
O 1.4055 0.8480 12.6190
O 2.8369 3.2965 12.6244
O 2.8428 3.2796 26.4341
O 2.9005 3.3761 5.6139
O 2.8374 3.2599 19.6925
O 1.8374 0.6738 26.7017
O 3.9198 3.8460 1.4541
O 4.4161 4.3991 21.8361
O 4.2681 4.1305 14.9558
O 4.3493 4.0945 7.8254
O 3.8487 2.6747 23.9293
O 2.8260 0.0175 10.2801
O 4.2508 2.4896 17.3081
O 2.8773 0.0795 24.2120
O 5.6293 4.8796 3.3768
O 4.2558 2.4695 10.2806
O 5.6805 4.9416 17.3087
O 4.6579 2.2844 3.6595
O 4.1573 0.8645 19.7633
O 4.2384 0.8285 12.6329
O 4.0905 0.5600 5.7527
O 4.5868 1.1131 26.1346
O 6.6692 4.2853 0.8870
O 5.6692 1.6992 7.8962
O 5.6061 1.5830 21.9748
O 5.6638 1.6795 1.1547
O 5.6697 1.6625 14.9644
O 7.1011 4.1111 14.9698
O 7.0976 4.0617 7.9974
O 7.3888 3.9630 22.0881
O 6.7988 2.2659 24.4757
O 7.0741 2.4926 17.2965
CELL_PARAMETERS angstrom
5.6609 0.0000 0.0000
2.8211 4.9131 0.0000
0.0246 0.0460 27.5887

! LiSb3TeClO6 (PBE-GGA, relaxed); values from VASP
! size of the total moment = 1.00 μB per formula unit
! total DFT energy (no corrections) = -5.22 eV per atom
&SYSTEM
  ibrav = 0, nat = 12, ntyp = 5
/
ATOMIC_SPECIES
Li 6.94 Li.upf
Sb 121.76 Sb.upf
Te 127.60 Te.upf
Cl 35.45 Cl.upf
O 16.00 O.upf
ATOMIC_POSITIONS angstrom
Li 0.0000 0.0000 0.0000
Sb 1.5936 0.0000 2.4807
Sb -1.5020 0.0000 7.5285
Sb 4.9673 0.0000 5.1838
Te 6.6208 0.0000 2.1010
Cl 11.7525 0.0000 2.3056
O -0.4998 0.0000 1.9369
O -2.4991 0.0000 5.7667
O 1.8112 0.0000 0.4890
O 6.6770 0.0000 4.1528
O 8.6034 0.0000 2.3530
O 5.9165 0.0000 6.9856
CELL_PARAMETERS angstrom
7.7666 -2.0910 0.0000
7.7666 2.0910 0.0000
-5.0298 0.0000 8.0922

! ScBIr3 (PBE-GGA, relaxed); values from VASP
! total DFT energy (no corrections) = -8.56 eV per atom
&SYSTEM
  ibrav = 0, nat = 5, ntyp = 3
/
ATOMIC_SPECIES
Sc 44.96 Sc.upf
B 10.81 B.upf
Ir 192.22 Ir.upf
ATOMIC_POSITIONS angstrom
Sc 0.0000 0.0000 0.0000
B 2.0750 2.0750 2.0750
Ir 0.0000 2.0750 2.0750
Ir 2.0750 0.0000 2.0750
Ir 2.0750 2.0750 0.0000
CELL_PARAMETERS angstrom
4.1501 0.0000 0.0000
0.0000 4.1501 0.0000
0.0000 0.0000 4.1501
=====
• Here the piece continues:

More Healthy Benefits
for your @ Home Collection of Pure Essential Oils
Benefits of Essential Oils
*Essential oils are anti-fungal, antiviral, anti-macrobial, anti-parasitic, anti-infectious, and antiseptic. Essential oils can combat infectious disease by killing off viruses, bacteria or other pathogens. Some oils have been shown to destroy all tested viruses and bacteria.
*Essential oils can act on both your mind and your body. Their aromas can be stimulating both psychologically and physically. Their aromas can also be very calming and sedating. Inhaling aromas is extremely powerful. Aromatic stimuli of your limbic system cause the release of neurotransmitters, including pain-reducing encephalin, pleasure-producing endorphins, relaxing serotonin, and stimulating noradrenaline.
*Essential oils are some of the most powerful known antioxidants. (Determined by an ORAC developed by Tuft University).
*Essential oils are capable of penetrating your cell membranes since they are lipid-soluble. According to Jean V. MD essential oils can affect every cell of the body within 20 minutes, and are then metabolized like other nutrients. An anti-biotic cannot penetrate your cell’s wall.
*Essential oils detoxify your cells and your blood.
*Essentials purify the air by eliminating odors from cooking, animals, mold, bacteria and other sources.
*Essential oils are small enough to penetrate every tissue in your skin.
According to researchers at Vienna University, essential oils stimulate blood flow, which increases your nutrient and oxygen delivery.
*Essential oils can be administered in two ways, either topically or through aromatherapy, and therapeutic grade essential oils can be ingested in certain instances. When applied topically and inhaled, essential oils are absorbed immediately into your blood stream. Oils used aromatically don’t have to go through your digestive system, so they work immediately in your body.
*The essential oils’ versatility makes them fairly inexpensive to use. One bottle goes along way and it can be used for so many different ailments. For example, an oil like lavender helps with relaxation, sleep, bug bites,excema and burns.

• Here the page breaks off for calculated crystals:
=====
The following is a PBE-GGA calculation of crystalline Na14Zr4Ga4Si9S3O48 at its relaxed geometry, from Materials Project.

Formation energy from the elements, eV/atom: -2.722
Final energy, eV/atom: -6.7533

The structure in CIF format:
```
data_Na14Zr4Ga4Si9S3O48
_chemical_formula_sum 'Na42 Zr12 Ga12 Si27 S9 O144'
_symmetry_space_group_name_H-M 'P 1'
_symmetry_Int_Tables_number 1
_cell_length_a 9.082
_cell_length_b 15.721
_cell_length_c 22.538
_cell_angle_alpha 90.43
_cell_angle_beta 90.22
_cell_angle_gamma 90.02
loop_
_symmetry_equiv_pos_as_xyz
'x,y,z'
loop_
_atom_site_label
_atom_site_type_symbol
_atom_site_fract_x
_atom_site_fract_y
_atom_site_fract_z
Na1 Na 0.000 0.000 0.000
Na2 Na 0.001 0.343 0.343
Na3 Na 0.033 0.356 0.667
Na4 Na 0.047 0.695 0.006
Na5 Na 0.053 0.023 0.341
Na6 Na 0.173 0.186 0.753
Na7 Na 0.175 0.527 0.584
Na8 Na 0.176 0.865 0.420
Na9 Na 0.183 0.187 0.258
Na10 Na 0.183 0.861 0.920
Na11 Na 0.184 0.531 0.084
Na12 Na 0.306 0.017 0.837
Na13 Na 0.322 0.688 0.506
Na14 Na 0.324 0.358 0.171
Na15 Na 0.358 0.039 0.172
Na16 Na 0.361 0.343 0.838
Na17 Na 0.362 0.010 0.503
Na18 Na 0.369 0.373 0.502
Na19 Na 0.374 0.711 0.834
Na20 Na 0.483 0.208 0.338
Na21 Na 0.491 0.873 0.999
Na22 Na 0.497 0.515 0.000
Na23 Na 0.499 0.844 0.340
Na24 Na 0.502 0.542 0.670
Na25 Na 0.538 0.186 0.001
Na26 Na 0.544 0.858 0.671
Na27 Na 0.553 0.521 0.342
Na28 Na 0.676 0.360 0.425
Na29 Na 0.680 0.026 0.588
Na30 Na 0.681 0.692 0.754
Na31 Na 0.684 0.026 0.083
Na32 Na 0.686 0.364 0.915
Na33 Na 0.686 0.688 0.254
Na34 Na 0.806 0.523 0.838
Na35 Na 0.812 0.194 0.509
Na36 Na 0.826 0.856 0.167
Na37 Na 0.858 0.501 0.503
Na38 Na 0.859 0.547 0.172
Na39 Na 0.861 0.844 0.835
Na40 Na 0.869 0.206 0.830
Na41 Na 0.988 0.708 0.333
Na42 Na 0.997 0.040 0.671
Zr1 Zr 0.177 0.188 0.604
Zr2 Zr 0.178 0.524 0.734
Zr3 Zr 0.178 0.528 0.235
Zr4 Zr 0.180 0.861 0.569
Zr5 Zr 0.181 0.515 0.940
Zr6 Zr 0.193 0.186 0.105
Zr7 Zr 0.668 0.360 0.065
Zr8 Zr 0.673 0.692 0.609
Zr9 Zr 0.677 0.014 0.442
Zr10 Zr 0.681 0.023 0.234
Zr11 Zr 0.681 0.689 0.103
Zr12 Zr 0.688 0.023 0.732
Ga1 Ga 0.154 0.868 0.270
Ga2 Ga 0.161 0.854 0.063
Ga3 Ga 0.180 0.187 0.902
Ga4 Ga 0.182 0.504 0.437
Ga5 Ga 0.186 0.865 0.766
Ga6 Ga 0.196 0.193 0.409
Ga7 Ga 0.653 0.368 0.273
Ga8 Ga 0.662 0.694 0.907
Ga9 Ga 0.678 0.003 0.935
Ga10 Ga 0.683 0.687 0.405
Ga11 Ga 0.698 0.355 0.563
Ga12 Ga 0.704 0.367 0.769
Si1 Si 0.031 0.371 0.836
Si2 Si 0.035 0.001 0.167
Si3 Si 0.035 0.045 0.498
Si4 Si 0.035 0.336 0.500
Si5 Si 0.042 0.717 0.170
Si6 Si 0.317 0.712 0.671
Si7 Si 0.320 0.332 0.001
Si8 Si 0.324 0.373 0.336
Si9 Si 0.327 0.007 0.672
Si10 Si 0.333 0.042 0.999
Si11 Si 0.375 0.022 0.335
Si12 Si 0.382 0.695 0.003
Si13 Si 0.477 0.195 0.503
Si14 Si 0.484 0.523 0.835
Si15 Si 0.528 0.544 0.500
Si16 Si 0.528 0.873 0.836
Si17 Si 0.532 0.507 0.172
Si18 Si 0.533 0.831 0.500
Si19 Si 0.542 0.213 0.172
Si20 Si 0.817 0.217 0.670
Si21 Si 0.823 0.500 0.667
Si22 Si 0.824 0.837 0.000
Si23 Si 0.826 0.546 0.999
Si24 Si 0.828 0.871 0.336
Si25 Si 0.883 0.523 0.339
=====

Added Respitory Benefits of Pink Himayan Mountains Salt Mixed with Warm Waters:
When mixed with hot water and dissolved, it is roven to aid in clearing up sinus issues and can improve any respiratory conditions you have been dealing with (including asthma).
Because these pink crystals emit negative ions, you’ll be able to attack your sinus issues with full force – without ever compromising your respiratory system (or any of your other bodily systems, for that matter).

At Bath Organiks we prefer
"Himalayan Pink Salt",
& it is wonderful!
What if I were to tell you that it is even said to support libido, reduce the signs of aging, and detoxify the body from heavy metals.
Pink Salt vs. Sea Salt
Even though pink salts come from the mountains, they are technically sea salts as well. All salt comes from a salted body of water—namely, an ocean or salt-water lake. However, Himalayan salt is said to be the purest form of sea salt.
Once upon a time (a couple of hundreds of millions of years ago) crystallized sea salt beds, now deep within the Himalayans, were covered by lava. Aside from being kept it in a pristine environment that has been surrounded by snow and ice year round, the lava is thought to have protected the salt from modern-day pollution leading to the belief that Himalayan Pink salt is the purest salt to be found on earth. It is now hand-mined from the mountains and brought to the culinary & essentials market.
Why Pink?
The many hues of pink, red and white are an indication of this salt’s rich and varying mineral and energy-rich iron content.
In the same manner that vitamins and minerals are perfectly packaged in fruits and vegetables, because this salt was formed naturally the minerals within the sodium work in synergy.
(Synergy is the interaction of multiple elements in a system to produce an effect different from or greater than the sum of their individual effects.)
Iodine- Natural salts are rich in iodine, so it doesn’t need to be artificially added in.
Less sodium consumed per serving- Himalayan salt is made of the same components as table salt but since the crystal structure is larger than refined salt, and by volume- this salt therefore has LESS sodium per 1/4 t. serving- because the sea salt crystals or flakes take up less room on a teaspoon than highly refined tiny table salt grains.
Packs a hearty 80+ minerals and elements- Himalayan salts are mineral packed crystals which formed naturally within the earth made up of 85.62% sodium chloride and 14.38% other trace minerals including: sulphate, magnesium, calcium, potassium, bicarbonate, bromide, borate, strontium, and fluoride (in descending order of quantity).
Because of these minerals Himalayan pink salt can:
Increases hydration in dry skin cells
Regulate water content both inside and outside the body & within cells
Balance pH (alkaline/acidity) and helps to reduce acid buildup
Helps prevent muscle cramping
Aid in proper metabolism functioning
Strengthen bone density
Aids in Lowerer blood pressure
Helps the intestines absorb nutrients
Aids in prevention of goiters
Improves circulation
Dissolves and aids in elimination of toxins

== Here the page breaks off for data records ==
........
Entry from the Materials Project database: a relaxed structure of TiPd2 (PBE).

For the magnetization, the calculation gives 0.0 Bohr magnetons per cell. As for the formation energy: -630.3 meV/atom.

It has space group I4/mmm (No. 139), with a = 3.2748 Å, b = 3.2748 Å, c = 8.7765 Å, α = 90.00°, β = 90.00° and γ = 90.00°. The asymmetric unit holds Ti at (0.0000, 0.0000, 0.0000) and Pd at (0.0000, 0.0000, 0.3431).
........
== Back to the page ==

A natural and ridiculously pure mineral substance (the cleanest and purest form found anywhere in the world), that is pink and gathered from the Himalayan Mountains has been used for thousands and thousands of years as a natural medicine and therapeutic cure!
The ancients understood just how powerful and potent this mineral truly was, and knew – immediately – that it was far different from the typical salts that they were cultivating from mines or from the ocean.
Because it was originally sourced only from a handful of spots tucked away in the Himalayan mountain range, it became amazingly and immensely valuable – and continues to be valuable today!
Used effectively as an all-natural remedy at a number of occasions, there is a real reason why words about its power has spread for thousands of years.